Immunizations in Pregnancy
Am Fam Physician. 2013;87(12):828-830
Author disclosure: No relevant financial affiliations.
Here the entry breaks off for calculated crystals >
┌──
#A
# Tl13Au2 | Alexandria via LeMat-Bulk | PBE-GGA | relaxed
# Magnetic moment, Bohr magnetons per cell: 0.00
data_Tl13Au2
_cell_length_a 6.747
_cell_length_b 7.932
_cell_length_c 9.279
_cell_angle_alpha 65.90
_cell_angle_beta 84.01
_cell_angle_gamma 80.83
_symmetry_space_group_name_H-M 'P -1'
_symmetry_Int_Tables_number 2
loop_
_symmetry_equiv_pos_as_xyz
'x,y,z'
'-x,-y,-z'
loop_
_atom_site_label
_atom_site_type_symbol
_atom_site_fract_x
_atom_site_fract_y
_atom_site_fract_z
Tl1 Tl 0.000 0.000 0.000
Tl2 Tl 0.049 0.214 0.329
Tl3 Tl 0.182 0.645 0.363
Tl4 Tl 0.243 0.584 0.019
Tl5 Tl 0.290 0.363 0.770
Tl6 Tl 0.430 0.079 0.140
Tl7 Tl 0.474 0.763 0.572
Au1 Au 0.194 0.068 0.666



#B
# Tl13Au2 | Alexandria via LeMat-Bulk | PBE-GGA | relaxed
# Magnetic moment, Bohr magnetons per cell: 0.00
data_Tl13Au2
_cell_length_a 8.7221
_cell_length_b 8.7221
_cell_length_c 22.5221
_cell_angle_alpha 90.00
_cell_angle_beta 90.00
_cell_angle_gamma 120.00
_symmetry_space_group_name_H-M 'R -3 m'
_symmetry_Int_Tables_number 166
_symmetry_space_group_name_Hall '-R 3 2"'
loop_
_atom_site_label
_atom_site_type_symbol
_atom_site_fract_x
_atom_site_fract_y
_atom_site_fract_z
Tl1 Tl 0.0000 0.0000 0.0000
Tl2 Tl 0.0660 0.5330 0.4295
Tl3 Tl 0.0823 0.5412 0.2804
Au1 Au 0.0000 0.0000 0.1340



Energy ordering: #A at the bottom, the next structure 101 meV/atom above.



#A
# TmTl2Au | Alexandria via LeMat-Bulk | PBE-GGA | relaxed
# Magnetic moment, Bohr magnetons per cell: 0.00
data_TmTl2Au
_cell_length_a 3.4986
_cell_length_b 3.4986
_cell_length_c 32.0486
_cell_angle_alpha 90.00
_cell_angle_beta 90.00
_cell_angle_gamma 120.00
_symmetry_space_group_name_H-M 'R -3 m'
_symmetry_Int_Tables_number 166
_symmetry_space_group_name_Hall '-R 3 2"'
loop_
_atom_site_label
_atom_site_type_symbol
_atom_site_fract_x
_atom_site_fract_y
_atom_site_fract_z
Tm1 Tm 0.0000 0.0000 0.0000
Tl1 Tl 0.0000 0.0000 0.0973
Au1 Au 0.0000 0.0000 0.5000



#B
# TmTl2Au | Alexandria via LeMat-Bulk | PBE-GGA | relaxed
# Magnetic moment, Bohr magnetons per cell: 0.00
data_TmTl2Au
_cell_length_a 4.537
_cell_length_b 4.537
_cell_length_c 4.681
_cell_angle_alpha 90.00
_cell_angle_beta 90.00
_cell_angle_gamma 90.00
_symmetry_space_group_name_H-M 'P 4/m m m'
_symmetry_Int_Tables_number 123
_symmetry_space_group_name_Hall '-P 4 2'
loop_
_atom_site_label
_atom_site_type_symbol
_atom_site_fract_x
_atom_site_fract_y
_atom_site_fract_z
Tm1 Tm 0.000 0.000 0.000
Tl1 Tl 0.000 0.500 0.500
Au1 Au 0.500 0.500 0.000



Energy ordering: #B at the bottom, the next structure 395 meV/atom above.



#A
# Tl2VAu | Alexandria via LeMat-Bulk | PBE-GGA | relaxed
# Magnetic moment, Bohr magnetons per cell: 12.10
data_Tl2VAu
_cell_length_a 7.002
_cell_length_b 7.002
_cell_length_c 7.002
_cell_angle_alpha 90.00
_cell_angle_beta 90.00
_cell_angle_gamma 90.00
_symmetry_space_group_name_H-M 'F m -3 m'
_symmetry_Int_Tables_number 225
_symmetry_space_group_name_Hall '-F 4 2 3'
loop_
_atom_site_label
_atom_site_type_symbol
_atom_site_fract_x
└──
Vaccinations are an important topic to address with pregnant women for maternal and neonatal health reasons, and pregnancy provides a unique time during which physicians have close, regular contact with the patient. Inactivated vaccines can be given before, during, and after pregnancy. Based strictly on theoretical concerns, live vaccines preferably should be given at least one month before pregnancy and avoided during pregnancy.1 There is no evidence that any vaccination is harmful to the developing fetus, and inadvertent vaccination during pregnancy is never an indication to recommend a therapeutic abortion.2 Some common and controversial vaccines that pregnant women may want to discuss with their family physician are listed below; however, this is not an exhaustive list of all available vaccines. Family physicians, even if not providing prenatal care, can play a critical role in maintaining current vaccinations in pregnant women.
Immunizations to Target
Rubella infection in pregnancy is likely to cause fetal infection, which can result in miscarriage, fetal demise, and serious birth defects (e.g., cataracts, heart disease, deafness, intellectual disability). Therefore, it is key to determine a patient's immunity and, if indicated, provide vaccination before pregnancy. Rubella vaccination is typically provided with the measles-mumps-rubella (MMR) vaccine, which is a combination live vaccine.
Although the effects of varicella virus on the fetus are unknown, there are theoretical concerns, and the risk of severe varicella virus infection may be higher in pregnant women. Therefore, vaccinating nonimmune women before pregnancy is recommended.
Influenza infection increases the risk of serious complications in pregnant women and their newborns, as well as the risk of premature labor and delivery. A recent randomized study of 340 women also showed a higher incidence of small-for-gestational-age infants when the mother had not been vaccinated.3 Because the influenza vaccine is safe in pregnancy, vaccinating all pregnant women during any trimester should be a priority to minimize these risks. In a Centers for Disease Control and Prevention (CDC) study analyzing data from the 2009 to 2010 Pregnancy Risk Assessment Monitoring System, influenza vaccination coverage during pregnancy was considerably higher when the physician recommended or offered it (median of 53.1%) compared with when the physician did not (median of 14.4%).4
The page is interrupted by crystal structures >
********
The following is a PBE-GGA calculation of RbSrSbI6 after structural relaxation, from the Alexandria database.

Cell and atoms, written as CIF:
```
data_RbSrSbI6
_chemical_formula_sum 'Rb1 Sr1 Sb1 I6'
_cell_length_a 8.2371
_cell_length_b 8.2371
_cell_length_c 8.0517
_cell_angle_alpha 90.00
_cell_angle_beta 90.00
_cell_angle_gamma 120.00
_space_group_name_H-M_alt 'P 3 1 2'
_space_group_IT_number 149
loop_
_space_group_symop_operation_xyz
'x,y,z'
'-y,x-y,z'
'-x+y,-x,z'
'-y,-x,-z'
'-x+y,y,-z'
'x,x-y,-z'
loop_
_atom_site_label
_atom_site_fract_x
_atom_site_fract_y
_atom_site_fract_z
Rb1 0.0000 0.0000 0.0000
Sr1 0.3333 0.6667 0.5000
Sb1 0.6667 0.3333 0.5000
I1 0.3798 0.0221 0.7249
```

Calculated values
formation energy without anion corrections = -1.05 eV/atom
electronic total energy = -25.499 eV/cell

* * * * *

Entry 1:
Here is PmMgSi after structural relaxation from Alexandria. Energies are from GGA-PBE.

```
6
Lattice="4.258 0.000 0.000 0.000 4.258 0.000 0.000 0.000 7.582" Properties=species:S:1:pos:R:3 pbc="T T T"
Pm 1.064 1.064 1.117
Pm 3.193 3.193 6.465
Mg 1.064 3.193 3.791
Mg 3.193 1.064 3.791
Si 1.064 1.064 5.610
Si 3.193 3.193 1.972
```

The energy comes out at -26.495 eV for the cell shown. The value obtained for the uncorrected formation energy is -493 meV per atom. Its crystal system is tetragonal.
********
Tetanus toxoid, reduced diphtheria toxoid, and acellular pertussis (Tdap) vaccine should be provided during each pregnancy, preferably between 27 and 36 weeks of gestation.5 This timing recommendation is based on the maternal immune response, which peaks two weeks after administration. If not given during pregnancy (and for the protection of the newborn), the Tdap vaccine should be administered immediately postpartum in any woman who has not previously received it. If Tdap vaccination history cannot be confirmed through written records, the patient should be considered unvaccinated and should receive a Tdap vaccine.
Immunizations to Consider
Adequate safety data do not exist for the hepatitis A vaccine, but the theoretical risks are low because it is produced from an inactivated virus. Women who are thought to be at high risk of exposure to hepatitis A should be considered for vaccination during pregnancy (e.g., travel to endemic countries, chronic liver disease).
Immunizations to Avoid
Live, attenuated influenza; MMR; and varicella vaccines are not recommended in pregnant women based on theoretical concerns for live virus exposure. Despite these concerns, the CDC found that between 1971 and 1989, no cases of congenital rubella syndrome occurred in the offspring of 226 rubella-susceptible women receiving the individual rubella vaccine three months before or three months after conception.8 Although the MMR vaccine was not studied in this review, the safety profile and theoretical concern regarding congenital rubella has been extrapolated to the combination MMR vaccine.
Human papillomavirus (HPV) and herpes zoster vaccines are not recommended because of a lack of safety data in pregnant women.
Registries for reporting inadvertent immunization during pregnancy have been established for the varicella, HPV, and herpes zoster vaccines:
Merck for the varicella (Varivax), herpes zoster (Zostavax), and quadrivalent HPV (Gardasil) vaccines: 800-986-8999
GlaxoSmithKline for the bivalent HPV vaccine (Cervarix): 888-452-9622